Exercise >
Now search the listing underneath for the word "ZrTiNbCr2" and write out each line that has it.

Contents >
-- begin --
# 1
Here is a relaxed structure of ZrTiNbCr2 from the Alexandria database. Energies are from GGA-PBE.

Unit cell a=4.3112 b=4.8356 c=4.3112 alpha=90.00 beta=90.00 gamma=90.00
Closest atoms and distances in Å follow each position.
Fractional positions:
Cr 0.0000 0.0000 0.5000  2 Ti 2.16
Cr 0.5000 0.0000 0.0000  2 Ti 2.16
Nb 0.0000 0.5000 0.0000  2 Ti 2.42
Zr 0.5000 0.5000 0.5000  4 Nb 3.05, 8 Cr 3.24
Ti 0.0000 0.0000 0.0000  4 Cr 2.16

## Properties
Space group ... P4/mmm

# 2
Here is a relaxed structure of NbTl2Cr from the Alexandria database. Energies are from GGA-PBE.

Unit cell a=7.7026 b=7.7026 c=6.2028 alpha=51.62 beta=51.62 gamma=90.00
Closest atoms and distances in Å follow each position.
Fractional positions:
Cr 0.5000 0.5000 0.0000  4 Tl 2.75, 2 Nb 2.97
Cr 0.2500 0.7500 0.5000  4 Tl 2.75, 2 Nb 2.97
Tl 0.6103 0.1250 0.2500  2 Cr 2.75, 2 Nb 2.90, 2 Tl 2.98
Tl 0.1397 0.6250 0.2500  2 Cr 2.75, 2 Nb 2.90, 2 Tl 2.98
Tl 0.3750 0.3897 0.7500  2 Cr 2.75, 2 Nb 2.90, 2 Tl 2.98
Tl 0.8750 0.8603 0.7500  2 Cr 2.75, 2 Nb 2.90, 2 Tl 2.98
Nb 0.0000 0.0000 0.0000  4 Tl 2.90, 2 Cr 2.97
Nb 0.7500 0.2500 0.5000  4 Tl 2.90, 2 Cr 2.97

## Properties
Space group ... I-42d
Energy above the lowest structure with this stoichiometry ... 0.00 kcal/mol of atoms

# 3
Here is a relaxed structure of NbTlCr3 from the Alexandria database. Energies are from GGA-PBE.

Unit cell a=4.8053 b=4.8053 c=4.8053 alpha=90.00 beta=90.00 gamma=90.00
Closest atoms and distances in Å follow each position.
Fractional positions:
Cr 0.0000 0.5000 0.0000  2 Nb 2.40
Cr 0.0000 0.0000 0.5000  2 Nb 2.40
Cr 0.5000 0.0000 0.0000  2 Nb 2.40
Tl 0.5000 0.5000 0.5000  12 Cr 3.40
Nb 0.0000 0.0000 0.0000  6 Cr 2.40

## Properties
Space group ... Pm-3m
Energy above the lowest structure with this stoichiometry ... 0.00 kcal/mol of atoms

In the order shown, the computed ΔE_f values come out to 1.037, 0.843, 1.447 eV/atom.
In the order shown, the computed raw total energy values come out to -40.6, -42.1, -34.1 eV for the cell shown.
In the order shown, the computed density of states at the Fermi level values come out to 1.448, 0.436, 1.042 states/eV per atom.
-- stop --

Here it is >
Here is a relaxed structure of ZrTiNbCr2 from the Alexandria database. Energies are from GGA-PBE.